### Contents
=====
Molecular formula: C17H14Cl2LuO2
Method: DFT, the ωB97M-V functional and the def2-TZVPD basis

Orbital gap, eV: 4.1
Energy relative to the best compared isomer or geometry (same formula, charge and spin), kcal per mole: 0.0
2S+1: 1
Lowest unoccupied orbital energy, hartree: 0.0573
Charge: -1
Highest occupied orbital energy, eV: -2.49

The geometry in XYZ format:
```
36
C17H14Cl2LuO2 (the ωB97M-V functional and the def2-TZVPD basis)
C -1.20806 1.86683 -0.75727
C -1.64428 0.52310 -0.99261
C -0.73898 -0.09673 -1.90975
H -2.49916 0.04868 -0.51824
C 0.23989 0.88398 -2.28687
C -0.03605 2.08121 -1.55201
H 0.43227 3.04512 -1.76114
H -1.78646 2.64429 -0.23631
H -0.81085 -1.10740 -2.29718
H 0.92674 0.81002 -3.13731
Lu 0.47804 0.31317 0.14242
Cl -0.75369 -0.30850 2.15578
C -0.70404 -5.00180 0.63850
C -0.09814 -5.16318 -0.64916
C -1.12049 -5.01509 -1.64107
H 0.95099 -5.38362 -0.84107
C -2.35849 -4.76404 -0.96640
C -2.10118 -4.75633 0.44248
H -2.84292 -4.61152 1.22691
H -0.19677 -5.07454 1.59948
H -0.98631 -5.10165 -2.71856
H -3.32951 -4.62757 -1.44105
Cl 8.63995 2.55944 1.33963
C 7.00012 2.19003 1.02581
C 6.03287 3.20725 1.03251
C 4.69385 2.87131 0.81423
C 4.35291 1.54230 0.57134
C 5.32130 0.53941 0.49846
C 6.65157 0.85958 0.74252
C 2.93783 1.16075 0.41293
O 1.93638 1.92445 0.72919
O 2.63866 -0.01292 -0.07700
H 6.34346 4.23851 1.19126
H 3.90779 3.62936 0.78118
H 5.00795 -0.46297 0.21173
H 7.40654 0.07710 0.68294
```

Computed Mulliken charges, given in elementary charges:
1 C -0.425
2 C -0.667
3 C -0.789
4 H 0.479
5 C -0.277
6 C -0.489
7 H 0.420
8 H 0.397
9 H 0.569
10 H 0.424
11 Lu 1.297
12 Cl -0.626
13 C -0.533
14 C -0.597
15 C -0.547
16 H 0.375
17 C -0.542
18 C -0.539
19 H 0.355
20 H 0.371
21 H 0.380
22 H 0.359
23 Cl -0.212
24 C 0.445
25 C -0.572
26 C -0.309
27 C 0.016
28 C -0.358
29 C -0.579
30 C 1.171
31 O -0.770
32 O -0.851
33 H 0.390
34 H 0.410
35 H 0.441
36 H 0.384


Molecular formula: H4O2
Method: DFT, the ωB97M-V functional and the def2-TZVPD basis

Orbital gap, eV: 10.7
Energy relative to the best compared isomer or geometry (same formula, charge and spin), kcal per mole: 26.8
2S+1: 1
Lowest unoccupied orbital energy, hartree: 0.0179
Charge: 0
Highest occupied orbital energy, eV: -10.22

The geometry in XYZ format:
```
6
H4O2 (the ωB97M-V functional and the def2-TZVPD basis)
O 1.13835 -0.35606 -0.80226
H 0.93710 -0.01270 0.06827
H 0.36064 -0.15811 -1.32401
O -0.46538 0.14534 0.50860
H -1.22754 -0.42469 0.40653
H -0.74319 0.80620 1.14289
```

Computed Mulliken charges, given in elementary charges:
1 O -0.673
2 H 0.381
3 H 0.306
4 O -0.607
5 H 0.295
6 H 0.300


Molecular formula: C29H65N7O9
Method: DFT, the ωB97M-V functional and the def2-TZVPD basis

Orbital gap, eV: 9.2
Energy relative to the best compared isomer or geometry (same formula, charge and spin), kcal per mole: 62.3
2S+1: 1
Lowest unoccupied orbital energy, hartree: 0.0095
Charge: 0
Highest occupied orbital energy, eV: -8.98

The geometry in XYZ format:
```
110
C29H65N7O9 (the ωB97M-V functional and the def2-TZVPD basis)
C -8.38199 -25.42394 -10.71594
C -9.02657 -24.30863 -11.50099
C -8.04300 -23.96156 -12.56088
O -6.80478 -24.60984 -12.22527
C -6.91379 -25.02840 -10.85786
H -8.41902 -26.37756 -11.24224
H -8.71475 -25.39349 -9.67908
H -9.19514 -23.43166 -10.87545
H -9.96637 -24.66395 -11.92368
H -8.01069 -22.88856 -12.75387
H -8.37447 -24.43300 -13.48776
H -6.64165 -24.13755 -10.28659
H -6.16668 -25.79929 -10.67212
C -9.92878 -24.62148 -6.90860
C -10.95810 -24.86489 -5.75875
C -10.04669 -25.09453 -4.54676
O -9.01784 -24.18133 -4.74286
C -8.76692 -23.96344 -6.15684
H -10.38233 -24.05038 -7.71890
H -9.57736 -25.54402 -7.37200
H -11.61726 -25.69312 -6.01704
H -11.52545 -23.96900 -5.50439
H -9.59822 -26.09078 -4.52596
H -10.59751 -24.96724 -3.61374
H -7.79612 -24.32358 -6.49875
H -8.75009 -22.89485 -6.37612
C -6.05011 -19.72693 -6.22689
C -6.60005 -20.04378 -7.62515
O -5.80286 -19.96191 -8.57278
N -7.85787 -20.45723 -7.69695
C -8.42092 -21.03695 -8.93858
=====

### What to do
Your job: filter the notes above: keep the lines with the word "mole".

### Completed
Energy relative to the best compared isomer or geometry (same formula, charge and spin), kcal per mole: 0.0
Energy relative to the best compared isomer or geometry (same formula, charge and spin), kcal per mole: 26.8
Energy relative to the best compared isomer or geometry (same formula, charge and spin), kcal per mole: 62.3